## Contents
........
No. 1
This entry pairs a crystal structure of MnCoPSe with its simulated powder diffraction line list. Radiation: Cu Kα (weighted mean of Kα1 and Kα2). Structure: a GGA-PBE-relaxed structure.
Lines closer than 0.1° are merged.

Most intense lines, 2θ from 10° to 90°, in order of rising 2θ:
- 29.1°, I = 49.1
- 30.7°, I = 36.1
- 33.0°, I = 40.9
- 41.6°, I = 100.0
- 47.3°, I = 42.8
- 48.4°, I = 52.3

Structure:
Lattice parameters (Å, degrees): 3.0700 6.0362 6.0362 30.62 90.00 90.00
Atoms (fractional coordinates):
Mn (0.0000, 0.0000, 0.0000)
Co (0.5000, 0.1873, 0.1873)
P (0.0000, 0.6452, 0.6452)
Se (0.5000, 0.3922, 0.3922)


No. 2
This entry pairs a crystal structure of Pa2MnCo3 with its simulated powder diffraction line list. Radiation: Cu Kα (weighted mean of Kα1 and Kα2). Structure: a GGA-PBE-relaxed structure.
Lines closer than 0.1° are merged.

Most intense lines, 2θ from 10° to 90°, in order of rising 2θ:
- 21.5°, I = 55.4
- 35.2°, I = 84.1
- 36.4°, I = 81.4
- 41.6°, I = 54.1
- 42.1°, I = 100.0
- 43.1°, I = 45.6

Structure:
Lattice parameters (Å, degrees): 4.9475 4.9475 4.9475 62.06 62.06 62.06
Atoms (fractional coordinates):
Pa (0.1253, 0.1253, 0.1253)
Pa (0.8747, 0.8747, 0.8747)
Mn (0.5000, 0.5000, 0.5000)
Co (0.0000, 0.5000, 0.5000)
Co (0.5000, 0.0000, 0.5000)
Co (0.5000, 0.5000, 0.0000)


No. 3
This entry pairs a crystal structure of Mn2Co2Pb with its simulated powder diffraction line list. Radiation: Cu Kα (weighted mean of Kα1 and Kα2). Structure: a GGA-PBE-relaxed structure.
Lines closer than 0.1° are merged.

Most intense lines, 2θ from 10° to 90°, in order of rising 2θ:
- 23.8°, I = 67.5
- 38.5°, I = 100.0
- 40.0°, I = 37.9
- 40.2°, I = 33.3
- 51.1°, I = 32.1
- 51.3°, I = 31.7

Structure:
Lattice parameters (Å, degrees): 3.8951 2.9925 7.0333 90.00 105.87 90.00
Atoms (fractional coordinates):
Mn (0.1660, 0.0000, 0.3314)
Mn (0.8340, 0.0000, 0.6686)
Co (0.3108, 0.5000, 0.6225)
Co (0.6892, 0.5000, 0.3775)
Pb (0.5000, 0.5000, 0.0000)


No. 4
This entry pairs a crystal structure of Mn3CoPd12 with its simulated powder diffraction line list. Radiation: Cu Kα (weighted mean of Kα1 and Kα2). Structure: a GGA-PBE-relaxed structure.
Lines closer than 0.1° are merged.

Most intense lines, 2θ from 10° to 90°, in order of rising 2θ:
- 39.9°, I = 100.0
- 46.4°, I = 32.3
- 46.6°, I = 15.8
- 67.8°, I = 19.8
- 81.6°, I = 23.6
- 81.8°, I = 11.5

Structure:
Lattice parameters (Å, degrees): 3.9157 3.9157 15.6058 90.00 90.00 90.00
Atoms (fractional coordinates):
Mn (0.0000, 0.0000, 0.0000)
Mn (0.0000, 0.0000, 0.2512)
Mn (0.0000, 0.0000, 0.7488)
Co (0.0000, 0.0000, 0.5000)
Pd (0.0000, 0.5000, 0.1259)
Pd (0.0000, 0.5000, 0.3782)
Pd (0.0000, 0.5000, 0.6218)
Pd (0.0000, 0.5000, 0.8741)
Pd (0.5000, 0.0000, 0.1259)
Pd (0.5000, 0.0000, 0.3782)
Pd (0.5000, 0.0000, 0.6218)
Pd (0.5000, 0.0000, 0.8741)
Pd (0.5000, 0.5000, 0.0000)
Pd (0.5000, 0.5000, 0.2522)
Pd (0.5000, 0.5000, 0.5000)
Pd (0.5000, 0.5000, 0.7478)


No. 5
This entry pairs a crystal structure of PmMnCoSi2 with its simulated powder diffraction line list. Radiation: Cu Kα (weighted mean of Kα1 and Kα2). Structure: a GGA-PBE-relaxed structure.
Lines closer than 0.1° are merged.

Most intense lines, 2θ from 10° to 90°, in order of rising 2θ:
- 24.1°, I = 47.9
- 35.0°, I = 59.0
- 36.6°, I = 100.0
- 45.6°, I = 39.6
- 58.8°, I = 26.1
- 78.4°, I = 20.2

Structure:
Lattice parameters (Å, degrees): 5.7547 5.7547 5.7547 139.57 139.57 58.51
Atoms (fractional coordinates):
Pm (0.0000, 0.0000, 0.0000)
Mn (0.2500, 0.7500, 0.5000)
Co (0.7500, 0.2500, 0.5000)
Si (0.3716, 0.3716, 0.0000)
Si (0.6284, 0.6284, 0.0000)


No. 6
This entry pairs a crystal structure of MnCo5Pt6 with its simulated powder diffraction line list. Radiation: Cu Kα (weighted mean of Kα1 and Kα2). Structure: a GGA-PBE-relaxed structure.
Lines closer than 0.1° are merged.

Most intense lines, 2θ from 10° to 90°, in order of rising 2θ:
- 23.9°, I = 26.7
- 33.0°, I = 24.1
- 41.1°, I = 100.0
- 47.4°, I = 33.3
- 70.4°, I = 20.1
........
## Wanted
Could you copy the whole of the lines further up unchanged?
## Outcome
No. 1
This entry pairs a crystal structure of MnCoPSe with its simulated powder diffraction line list. Radiation: Cu Kα (weighted mean of Kα1 and Kα2). Structure: a GGA-PBE-relaxed structure.
Lines closer than 0.1° are merged.

Most intense lines, 2θ from 10° to 90°, in order of rising 2θ:
- 29.1°, I = 49.1
- 30.7°, I = 36.1
- 33.0°, I = 40.9
- 41.6°, I = 100.0
- 47.3°, I = 42.8
- 48.4°, I = 52.3

Structure:
Lattice parameters (Å, degrees): 3.0700 6.0362 6.0362 30.62 90.00 90.00
Atoms (fractional coordinates):
Mn (0.0000, 0.0000, 0.0000)
Co (0.5000, 0.1873, 0.1873)
P (0.0000, 0.6452, 0.6452)
Se (0.5000, 0.3922, 0.3922)


No. 2
This entry pairs a crystal structure of Pa2MnCo3 with its simulated powder diffraction line list. Radiation: Cu Kα (weighted mean of Kα1 and Kα2). Structure: a GGA-PBE-relaxed structure.
Lines closer than 0.1° are merged.

Most intense lines, 2θ from 10° to 90°, in order of rising 2θ:
- 21.5°, I = 55.4
- 35.2°, I = 84.1
- 36.4°, I = 81.4
- 41.6°, I = 54.1
- 42.1°, I = 100.0
- 43.1°, I = 45.6

Structure:
Lattice parameters (Å, degrees): 4.9475 4.9475 4.9475 62.06 62.06 62.06
Atoms (fractional coordinates):
Pa (0.1253, 0.1253, 0.1253)
Pa (0.8747, 0.8747, 0.8747)
Mn (0.5000, 0.5000, 0.5000)
Co (0.0000, 0.5000, 0.5000)
Co (0.5000, 0.0000, 0.5000)
Co (0.5000, 0.5000, 0.0000)


No. 3
This entry pairs a crystal structure of Mn2Co2Pb with its simulated powder diffraction line list. Radiation: Cu Kα (weighted mean of Kα1 and Kα2). Structure: a GGA-PBE-relaxed structure.
Lines closer than 0.1° are merged.

Most intense lines, 2θ from 10° to 90°, in order of rising 2θ:
- 23.8°, I = 67.5
- 38.5°, I = 100.0
- 40.0°, I = 37.9
- 40.2°, I = 33.3
- 51.1°, I = 32.1
- 51.3°, I = 31.7

Structure:
Lattice parameters (Å, degrees): 3.8951 2.9925 7.0333 90.00 105.87 90.00
Atoms (fractional coordinates):
Mn (0.1660, 0.0000, 0.3314)
Mn (0.8340, 0.0000, 0.6686)
Co (0.3108, 0.5000, 0.6225)
Co (0.6892, 0.5000, 0.3775)
Pb (0.5000, 0.5000, 0.0000)


No. 4
This entry pairs a crystal structure of Mn3CoPd12 with its simulated powder diffraction line list. Radiation: Cu Kα (weighted mean of Kα1 and Kα2). Structure: a GGA-PBE-relaxed structure.
Lines closer than 0.1° are merged.

Most intense lines, 2θ from 10° to 90°, in order of rising 2θ:
- 39.9°, I = 100.0
- 46.4°, I = 32.3
- 46.6°, I = 15.8
- 67.8°, I = 19.8
- 81.6°, I = 23.6
- 81.8°, I = 11.5

Structure:
Lattice parameters (Å, degrees): 3.9157 3.9157 15.6058 90.00 90.00 90.00
Atoms (fractional coordinates):
Mn (0.0000, 0.0000, 0.0000)
Mn (0.0000, 0.0000, 0.2512)
Mn (0.0000, 0.0000, 0.7488)
Co (0.0000, 0.0000, 0.5000)
Pd (0.0000, 0.5000, 0.1259)
Pd (0.0000, 0.5000, 0.3782)
Pd (0.0000, 0.5000, 0.6218)
Pd (0.0000, 0.5000, 0.8741)
Pd (0.5000, 0.0000, 0.1259)
Pd (0.5000, 0.0000, 0.3782)
Pd (0.5000, 0.0000, 0.6218)
Pd (0.5000, 0.0000, 0.8741)
Pd (0.5000, 0.5000, 0.0000)
Pd (0.5000, 0.5000, 0.2522)
Pd (0.5000, 0.5000, 0.5000)
Pd (0.5000, 0.5000, 0.7478)


No. 5
This entry pairs a crystal structure of PmMnCoSi2 with its simulated powder diffraction line list. Radiation: Cu Kα (weighted mean of Kα1 and Kα2). Structure: a GGA-PBE-relaxed structure.
Lines closer than 0.1° are merged.

Most intense lines, 2θ from 10° to 90°, in order of rising 2θ:
- 24.1°, I = 47.9
- 35.0°, I = 59.0
- 36.6°, I = 100.0
- 45.6°, I = 39.6
- 58.8°, I = 26.1
- 78.4°, I = 20.2

Structure:
Lattice parameters (Å, degrees): 5.7547 5.7547 5.7547 139.57 139.57 58.51
Atoms (fractional coordinates):
Pm (0.0000, 0.0000, 0.0000)
Mn (0.2500, 0.7500, 0.5000)
Co (0.7500, 0.2500, 0.5000)
Si (0.3716, 0.3716, 0.0000)
Si (0.6284, 0.6284, 0.0000)


No. 6
This entry pairs a crystal structure of MnCo5Pt6 with its simulated powder diffraction line list. Radiation: Cu Kα (weighted mean of Kα1 and Kα2). Structure: a GGA-PBE-relaxed structure.
Lines closer than 0.1° are merged.

Most intense lines, 2θ from 10° to 90°, in order of rising 2θ:
- 23.9°, I = 26.7
- 33.0°, I = 24.1
- 41.1°, I = 100.0
- 47.4°, I = 33.3
- 70.4°, I = 20.1